[Material]
- - -
# La5Cd3
Simulated X-ray powder pattern, CuKα. Input: a DFT-relaxed cell (GGA-PBE, Alexandria).
No peak broadening, texture or thermal motion is included.

Principal peaks in the range 10 to 80 degrees two-theta, in order of rising 2θ:
Position (°2θ)  I/Imax  hkl
31.37  100  1 0 4
32.15  49  1 1 0
43.80  9  0 0 8
46.10  18  2 0 0
55.35  17  1 1 8
56.82  36  2 1 4
65.47  10  2 0 8
72.70  6  1 0 12
76.08  8  3 0 4
76.50  8  3 1 0

Structure:
Cell lengths 3.9379, 3.9379, 16.5362 Å; angles 90.00, 90.00, 90.00 degrees
Space group P4/mmm (No. 123)
One atom of each set of equivalent atoms:
La: 0.0000 0.0000 0.0000 (multiplicity 1)
La: 0.0000 0.0000 0.2351 (multiplicity 2)
La: 0.5000 0.5000 0.3829 (multiplicity 2)
Cd: 0.0000 0.0000 0.5000 (multiplicity 1)
Cd: 0.5000 0.5000 0.1220 (multiplicity 2)

---

# Cs2NpPdI6
Simulated X-ray powder pattern, CuKα. Input: a DFT-relaxed cell (GGA-PBE, Alexandria).
No peak broadening, texture or thermal motion is included.

Principal peaks in the range 10 to 80 degrees two-theta, in order of rising 2θ:
Position (°2θ)  I/Imax  hkl
11.99  45  1 0 0
20.84  15  1 1 0
27.34  100  2 0 1
28.36  14  0 1 2
35.45  46  0 2 2
42.40  35  2 2 0
46.22  24  0 2 3
51.20  18  0 4 1
68.59  15  4 2 1
69.78  16  2 2 4

Structure:
Cell lengths 8.5265, 8.5265, 6.9589 Å; angles 90.00, 90.00, 120.00 degrees
Space group P-3m1 (No. 164)
One atom of each set of equivalent atoms:
Cs: 0.3333 0.6667 0.2433 (multiplicity 2)
Np: 0.0000 0.0000 0.0000 (multiplicity 1)
Pd: 0.0000 0.0000 0.5000 (multiplicity 1)
I: 0.1678 0.3356 0.7430 (multiplicity 6)

---

# Rb2UBr7
Simulated X-ray powder pattern, CuKα. Input: a DFT-relaxed cell (GGA-PBE, Alexandria).
No peak broadening, texture or thermal motion is included.

Principal peaks in the range 10 to 80 degrees two-theta, in order of rising 2θ:
Position (°2θ)  I/Imax  hkl
12.04  100  1 1 0
12.77  36  2 0 0
13.27  77  2 0 -2
17.72  46  1 1 -2
18.91  34  4 0 -2
28.02  42  4 2 -2
28.42  57  2 0 2
29.26  34  2 2 -3
31.66  50  1 3 -1
42.04  37  4 0 -6

Structure:
Cell lengths 18.7818, 8.6698, 13.3567 Å; angles 90.00, 132.41, 90.00 degrees
Space group C2/c (No. 15)
One atom of each set of equivalent atoms:
Rb: 0.1797 0.0417 0.0709 (multiplicity 8)
U: 0.0000 0.4205 0.2500 (multiplicity 4)
Br: 0.0000 0.0979 0.2500 (multiplicity 4)
Br: 0.0920 0.3460 0.1585 (multiplicity 8)
Br: 0.1072 0.3038 0.7962 (multiplicity 8)
Br: 0.1657 0.3824 0.5155 (multiplicity 8)
- - -
[Work order]
Start at the top of the calculation results further above and return each line, ending with the one that has "P-3m1 (No.", please.
[Done]
# La5Cd3
Simulated X-ray powder pattern, CuKα. Input: a DFT-relaxed cell (GGA-PBE, Alexandria).
No peak broadening, texture or thermal motion is included.

Principal peaks in the range 10 to 80 degrees two-theta, in order of rising 2θ:
Position (°2θ)  I/Imax  hkl
31.37  100  1 0 4
32.15  49  1 1 0
43.80  9  0 0 8
46.10  18  2 0 0
55.35  17  1 1 8
56.82  36  2 1 4
65.47  10  2 0 8
72.70  6  1 0 12
76.08  8  3 0 4
76.50  8  3 1 0

Structure:
Cell lengths 3.9379, 3.9379, 16.5362 Å; angles 90.00, 90.00, 90.00 degrees
Space group P4/mmm (No. 123)
One atom of each set of equivalent atoms:
La: 0.0000 0.0000 0.0000 (multiplicity 1)
La: 0.0000 0.0000 0.2351 (multiplicity 2)
La: 0.5000 0.5000 0.3829 (multiplicity 2)
Cd: 0.0000 0.0000 0.5000 (multiplicity 1)
Cd: 0.5000 0.5000 0.1220 (multiplicity 2)

---

# Cs2NpPdI6
Simulated X-ray powder pattern, CuKα. Input: a DFT-relaxed cell (GGA-PBE, Alexandria).
No peak broadening, texture or thermal motion is included.

Principal peaks in the range 10 to 80 degrees two-theta, in order of rising 2θ:
Position (°2θ)  I/Imax  hkl
11.99  45  1 0 0
20.84  15  1 1 0
27.34  100  2 0 1
28.36  14  0 1 2
35.45  46  0 2 2
42.40  35  2 2 0
46.22  24  0 2 3
51.20  18  0 4 1
68.59  15  4 2 1
69.78  16  2 2 4

Structure:
Cell lengths 8.5265, 8.5265, 6.9589 Å; angles 90.00, 90.00, 120.00 degrees
Space group P-3m1 (No. 164)